┌──
299
Properties=species:S:1:pos:R:3:forces:R:3 method="wB97M-V/def2-TZVPD" smiles="CN(C)P(=O)(N(C)C)N(C)C.CN(C)P(=O)(N(C)C)N(C)C.CN(C)P(=O)(N(C)C)N(C)C.CN(C)P(=O)(N(C)C)N(C)C.CN(C)P(=O)(N(C)C)N(C)C.CN(C)P(=O)(N(C)C)N(C)C.CN(C)P(=O)(N(C)C)N(C)C.CC1(C)CCCC(C)(C)N1O.CC1(C)CCCC(C)(C)N1O.CC1(C)CCCC(C)(C)N1O.CO" homo_ev=-8.02 lumo_ev=0.2 homo_lumo_gap_ev=8.26 charge=0 max_force_ev_per_a=4.0
O 20.288368 13.610956 17.094431 0.1234 -0.6334 -0.3848
P 19.250484 14.612705 17.358776 -1.5791 -0.1424 0.7085
N 18.121099 14.957712 16.163660 0.2521 -0.5214 1.8661
C 16.764773 14.413386 15.950260 1.1508 0.0840 -0.2619
C 18.514825 15.752853 15.069945 -0.3724 2.4025 0.3177
N 20.020827 16.047280 17.698978 -1.4102 -0.0965 -0.5766
C 21.367955 15.951924 18.201769 -0.2717 0.9803 1.2938
C 19.283070 17.217892 18.215134 0.3985 -0.6550 -0.6712
N 18.306113 14.114052 18.679213 0.3781 -0.9452 -0.1777
C 17.258740 14.791696 19.380317 0.5656 1.8333 0.7711
C 18.296516 12.682307 19.033659 -0.4270 0.8653 -0.3391
H 16.037928 15.185987 16.196921 -0.1815 -0.2402 0.1961
H 16.625725 13.456814 16.441121 -0.1544 0.1912 0.3952
H 16.637873 14.205024 14.880584 0.1097 -0.0287 0.1110
H 18.625635 15.119498 14.244540 0.1386 -0.5947 -1.8580
H 19.451391 16.302977 15.240505 -0.2747 -0.2434 0.0695
H 17.691604 16.509841 14.933465 0.7676 -0.4181 -0.4659
H 21.963995 16.747322 17.783522 0.1794 0.7642 0.1132
H 21.344670 16.027680 19.326818 0.3564 -0.0933 -0.8575
H 21.876886 15.080377 17.886913 0.0241 -1.1776 -0.1370
H 19.305239 17.130909 19.306299 -0.2487 0.5060 0.0583
H 19.857614 18.069299 17.860052 -0.0765 0.5076 0.3527
H 18.247196 17.335660 17.821557 0.9860 -0.5933 0.3786
H 16.290844 14.658991 18.935573 -0.8142 -0.5762 -0.0762
H 17.228536 14.573061 20.492476 0.1001 -0.1459 -1.2331
H 17.418930 15.874023 19.317949 -0.0239 -0.0649 0.1084
H 18.903030 12.176900 18.296046 -0.0782 -0.5306 0.0036
H 17.225524 12.342385 19.063926 0.9975 -0.0665 -0.0742
H 18.762311 12.603465 20.012295 -0.1166 -0.4419 0.2612
O 17.238615 24.815543 14.788449 1.2507 0.3551 0.6927
P 18.368884 25.400354 15.599423 -2.6199 -0.8100 -1.6736
N 18.690129 26.922512 15.104418 0.2805 1.3079 -1.5227
C 19.230373 27.935964 15.991569 -0.5430 0.3238 -0.1727
C 18.648388 27.233821 13.637352 1.6973 -2.1662 0.3062
N 19.741753 24.559596 15.539934 2.1455 -0.7838 -0.1513
C 21.104291 25.136324 15.405260 -1.3689 -0.3306 -0.0642
C 19.733211 23.103999 15.682642 0.3817 -0.1965 0.0140
N 17.958626 25.464934 17.175618 -0.1023 0.4783 1.3222
C 16.722149 26.135811 17.544820 -1.0073 -0.6696 -0.5768
C 18.938614 25.409535 18.234851 1.4233 0.3794 -0.1902
H 18.885213 28.918180 15.617059 0.4114 -0.3059 0.2276
H 20.333951 27.939254 16.141556 -0.5664 -0.0226 -0.2502
H 18.727098 27.769001 16.938050 0.3483 0.3217 0.3655
H 19.698200 27.422608 13.265477 -0.9120 -0.0886 0.3035
H 18.046003 28.074676 13.359612 -0.5780 0.4637 0.2420
H 18.291753 26.290268 13.134533 0.1645 1.1768 0.3692
H 21.022434 26.168807 15.067472 0.2066 -0.0917 0.2548
H 21.601538 25.017941 16.355525 0.4003 0.4048 0.4511
H 21.694937 24.583543 14.686708 -0.0508 -0.2196 -0.4035
H 20.601422 22.717168 16.277420 -0.6474 0.5149 -0.3674
H 18.815180 22.719652 16.107161 -0.1275 0.3243 0.4255
H 19.752046 22.655937 14.696337 0.3706 -0.2625 -0.2945
H 16.782256 27.215808 17.406192 0.0440 0.2543 0.3767
H 15.899796 25.797790 16.872672 0.6231 0.1819 0.5437
H 16.443522 25.857522 18.577598 0.1584 0.2856 -0.4260
H 18.461642 25.122744 19.174173 0.1291 0.0276 -0.0538
H 19.554016 26.345408 18.360692 -0.8912 -0.3492 0.2088
H 19.724233 24.694611 17.968406 -0.3572 -0.3019 0.2121
O 11.330335 23.560917 22.932586 -0.7090 0.2165 0.0763
P 11.977607 22.251160 22.770979 0.8941 0.5805 1.1155
N 11.192478 20.842731 22.446215 -2.9151 -0.7763 0.6884
C 10.089296 20.470010 23.400821 0.5693 0.2578 0.5122
C 10.621492 20.779516 21.102896 -0.3512 -0.2614 -0.7693
N 12.703484 21.842945 24.268184 0.4760 0.5552 -0.8238
C 13.046740 22.958183 25.185670 -0.4183 -1.1028 -0.0032
C 13.317565 20.530425 24.512929 -1.0718 -0.1335 0.5953
└──

The reader should echo the whole of the listing further up without additions.

299
Properties=species:S:1:pos:R:3:forces:R:3 method="wB97M-V/def2-TZVPD" smiles="CN(C)P(=O)(N(C)C)N(C)C.CN(C)P(=O)(N(C)C)N(C)C.CN(C)P(=O)(N(C)C)N(C)C.CN(C)P(=O)(N(C)C)N(C)C.CN(C)P(=O)(N(C)C)N(C)C.CN(C)P(=O)(N(C)C)N(C)C.CN(C)P(=O)(N(C)C)N(C)C.CC1(C)CCCC(C)(C)N1O.CC1(C)CCCC(C)(C)N1O.CC1(C)CCCC(C)(C)N1O.CO" homo_ev=-8.02 lumo_ev=0.2 homo_lumo_gap_ev=8.26 charge=0 max_force_ev_per_a=4.0
O 20.288368 13.610956 17.094431 0.1234 -0.6334 -0.3848
P 19.250484 14.612705 17.358776 -1.5791 -0.1424 0.7085
N 18.121099 14.957712 16.163660 0.2521 -0.5214 1.8661
C 16.764773 14.413386 15.950260 1.1508 0.0840 -0.2619
C 18.514825 15.752853 15.069945 -0.3724 2.4025 0.3177
N 20.020827 16.047280 17.698978 -1.4102 -0.0965 -0.5766
C 21.367955 15.951924 18.201769 -0.2717 0.9803 1.2938
C 19.283070 17.217892 18.215134 0.3985 -0.6550 -0.6712
N 18.306113 14.114052 18.679213 0.3781 -0.9452 -0.1777
C 17.258740 14.791696 19.380317 0.5656 1.8333 0.7711
C 18.296516 12.682307 19.033659 -0.4270 0.8653 -0.3391
H 16.037928 15.185987 16.196921 -0.1815 -0.2402 0.1961
H 16.625725 13.456814 16.441121 -0.1544 0.1912 0.3952
H 16.637873 14.205024 14.880584 0.1097 -0.0287 0.1110
H 18.625635 15.119498 14.244540 0.1386 -0.5947 -1.8580
H 19.451391 16.302977 15.240505 -0.2747 -0.2434 0.0695
H 17.691604 16.509841 14.933465 0.7676 -0.4181 -0.4659
H 21.963995 16.747322 17.783522 0.1794 0.7642 0.1132
H 21.344670 16.027680 19.326818 0.3564 -0.0933 -0.8575
H 21.876886 15.080377 17.886913 0.0241 -1.1776 -0.1370
H 19.305239 17.130909 19.306299 -0.2487 0.5060 0.0583
H 19.857614 18.069299 17.860052 -0.0765 0.5076 0.3527
H 18.247196 17.335660 17.821557 0.9860 -0.5933 0.3786
H 16.290844 14.658991 18.935573 -0.8142 -0.5762 -0.0762
H 17.228536 14.573061 20.492476 0.1001 -0.1459 -1.2331
H 17.418930 15.874023 19.317949 -0.0239 -0.0649 0.1084
H 18.903030 12.176900 18.296046 -0.0782 -0.5306 0.0036
H 17.225524 12.342385 19.063926 0.9975 -0.0665 -0.0742
H 18.762311 12.603465 20.012295 -0.1166 -0.4419 0.2612
O 17.238615 24.815543 14.788449 1.2507 0.3551 0.6927
P 18.368884 25.400354 15.599423 -2.6199 -0.8100 -1.6736
N 18.690129 26.922512 15.104418 0.2805 1.3079 -1.5227
C 19.230373 27.935964 15.991569 -0.5430 0.3238 -0.1727
C 18.648388 27.233821 13.637352 1.6973 -2.1662 0.3062
N 19.741753 24.559596 15.539934 2.1455 -0.7838 -0.1513
C 21.104291 25.136324 15.405260 -1.3689 -0.3306 -0.0642
C 19.733211 23.103999 15.682642 0.3817 -0.1965 0.0140
N 17.958626 25.464934 17.175618 -0.1023 0.4783 1.3222
C 16.722149 26.135811 17.544820 -1.0073 -0.6696 -0.5768
C 18.938614 25.409535 18.234851 1.4233 0.3794 -0.1902
H 18.885213 28.918180 15.617059 0.4114 -0.3059 0.2276
H 20.333951 27.939254 16.141556 -0.5664 -0.0226 -0.2502
H 18.727098 27.769001 16.938050 0.3483 0.3217 0.3655
H 19.698200 27.422608 13.265477 -0.9120 -0.0886 0.3035
H 18.046003 28.074676 13.359612 -0.5780 0.4637 0.2420
H 18.291753 26.290268 13.134533 0.1645 1.1768 0.3692
H 21.022434 26.168807 15.067472 0.2066 -0.0917 0.2548
H 21.601538 25.017941 16.355525 0.4003 0.4048 0.4511
H 21.694937 24.583543 14.686708 -0.0508 -0.2196 -0.4035
H 20.601422 22.717168 16.277420 -0.6474 0.5149 -0.3674
H 18.815180 22.719652 16.107161 -0.1275 0.3243 0.4255
H 19.752046 22.655937 14.696337 0.3706 -0.2625 -0.2945
H 16.782256 27.215808 17.406192 0.0440 0.2543 0.3767
H 15.899796 25.797790 16.872672 0.6231 0.1819 0.5437
H 16.443522 25.857522 18.577598 0.1584 0.2856 -0.4260
H 18.461642 25.122744 19.174173 0.1291 0.0276 -0.0538
H 19.554016 26.345408 18.360692 -0.8912 -0.3492 0.2088
H 19.724233 24.694611 17.968406 -0.3572 -0.3019 0.2121
O 11.330335 23.560917 22.932586 -0.7090 0.2165 0.0763
P 11.977607 22.251160 22.770979 0.8941 0.5805 1.1155
N 11.192478 20.842731 22.446215 -2.9151 -0.7763 0.6884
C 10.089296 20.470010 23.400821 0.5693 0.2578 0.5122
C 10.621492 20.779516 21.102896 -0.3512 -0.2614 -0.7693
N 12.703484 21.842945 24.268184 0.4760 0.5552 -0.8238
C 13.046740 22.958183 25.185670 -0.4183 -1.1028 -0.0032
C 13.317565 20.530425 24.512929 -1.0718 -0.1335 0.5953